The reader should transcribe the part of the contents below that starts with the line with "-2.16," and stops after the one with "4.703, 0.000],".
Computed, not measured: crystalline CaMnV4Cu2O12 at its relaxed geometry at the PBE+U level of DFT.

```
data_CaMnV4Cu2O12
_cell_length_a 7.338
_cell_length_b 7.473
_cell_length_c 7.489
_cell_angle_alpha 90.00
_cell_angle_beta 90.00
_cell_angle_gamma 90.00
_space_group_name_H-M_alt 'I m m m'
_space_group_IT_number 71
_space_group_name_Hall '-I 2 2'
loop_
_atom_site_label
_atom_site_type_symbol
_atom_site_fract_x
_atom_site_fract_y
_atom_site_fract_z
_atom_site_occupancy
Ca1 Ca 0.000 0.000 0.000 1
Mn1 Mn 0.000 0.000 0.500 1
V1 V 0.250 0.250 0.250 1
Cu1 Cu 0.000 0.500 0.000 1
Cu2 Cu 0.000 0.500 0.500 1
O1 O 0.000 0.295 0.178 1
O2 O 0.179 0.000 0.304 1
O3 O 0.192 0.316 0.500 1
```

Electronic total energy ... -285.76 eV per cell
Magnetic moment ... 13.97 Bohr magnetons per cell

----------

Record 1
{
  "formula": "Cd2ReBiCl",
  "functional": "PBE",
  "state": "relaxed",
  "dos_at_fermi_per_ev_cell": 3.31,
  "density_kg_m3": 7711,
  "space_group": "P4/mmm",
  "formation_energy_uncorrected_ev_per_atom": 1.44,
  "magmom_total_mub_per_cell": 3.18,
  "e_tot_ev_per_atom": -2.564,
  "lattice_angstrom": [[5.121, 0.000, 0.000], [0.000, 5.121, 0.000], [0.000, 0.000, 5.382]],
  "species": ["Cd", "Cd", "Re", "Bi", "Cl"],
  "frac_coords": [[0.000, 0.500, 0.000], [0.500, 0.000, 0.000], [0.000, 0.000, 0.500], [0.500, 0.500, 0.500], [0.500, 0.500, 0.000]]
}

Record 2
{
  "formula": "Zr3Br",
  "functional": "PBE",
  "state": "relaxed",
  "dos_at_fermi_per_ev_cell": 4.01,
  "density_kg_m3": 6576,
  "space_group": "Imm2",
  "formation_energy_uncorrected_ev_per_atom": -0.03,
  "magmom_total_mub_per_cell": 0.00,
  "polymorph_energy_kj_per_mol_atoms": 21.6,
  "e_tot_ev_per_atom": -6.857,
  "lattice_angstrom": [[-1.678, 4.577, 2.906], [1.678, -4.577, 2.906], [1.678, 4.577, -2.906]],
  "species": ["Zr", "Zr", "Zr", "Br"],
  "frac_coords": [[0.000, 0.000, 0.000], [0.364, 0.578, 0.786], [0.792, 0.578, 0.214], [0.384, 0.884, 0.500]]
}

Record 3
{
  "formula": "K2Mg2NbO6",
  "functional": "PBE",
  "state": "relaxed",
  "dos_at_fermi_per_ev_cell": 9.17,
  "density_kg_m3": 3279,
  "space_group": "C2/m",
  "formation_energy_uncorrected_ev_per_atom": -2.16,
  "magmom_total_mub_per_cell": 1.09,
  "e_tot_ev_per_atom": -6.271,
  "lattice_angstrom": [[2.718, -4.703, 0.000], [2.718, 4.703, 0.000], [-1.980, 0.000, 6.253]],
  "species": ["K", "K", "Mg", "Mg", "Nb", "O", "O", "O", "O", "O", "O"],
  "frac_coords": [[0.171, 0.829, 0.000], [0.829, 0.171, 0.000], [0.337, 0.663, 0.500], [0.663, 0.337, 0.500], [0.000, 0.000, 0.500], [0.057, 0.379, 0.670], [0.254, 0.254, 0.329], [0.379, 0.057, 0.670], [0.621, 0.943, 0.330], [0.746, 0.746, 0.671], [0.943, 0.621, 0.330]]
}

Record 4
{
  "formula": "Zr2CuBr",
  "functional": "PBE",
  "state": "relaxed",
  "dos_at_fermi_per_ev_cell": 4.73,
  "density_kg_m3": 6455,
  "space_group": "F-43m",
  "formation_energy_uncorrected_ev_per_atom": 0.59,
  "magmom_total_mub_per_cell": 3.01,
  "polymorph_energy_kj_per_mol_atoms": 76.6,
  "e_tot_ev_per_atom": -5.121,
  "lattice_angstrom": [[0.000, 3.474, 3.474], [3.474, 0.000, 3.474], [3.474, 3.474, 0.000]],
  "species": ["Zr", "Zr", "Cu", "Br"],
  "frac_coords": [[0.000, 0.000, 0.000], [0.250, 0.250, 0.250], [0.500, 0.500, 0.500], [0.750, 0.750, 0.750]]
}

Record 5
{
  "formula": "TlH6N2F2",
  "functional": "PBE",
  "state": "relaxed",
  "dos_at_fermi_per_ev_cell": 2.80,
  "density_kg_m3": 4010,
  "space_group": "P-1",
  "magmom_total_mub_per_cell": 0.00,
  "e_tot_ev_per_atom": -4.663,
  "lattice_angstrom": [[3.923, 0.000, 0.000], [0.914, 5.494, 0.000], [1.808, 0.091, 5.312]],
  "species": ["Tl", "H", "H", "H", "H", "H", "H", "N", "N", "F", "F"],
  "frac_coords": [[0.000, 0.000, 0.000], [0.142, 0.382, 0.260], [0.223, 0.715, 0.522], [0.274, 0.505, 0.749], [0.726, 0.495, 0.251], [0.777, 0.285, 0.478], [0.858, 0.618, 0.740], [0.114, 0.658, 0.707], [0.886, 0.342, 0.293], [0.450, 0.784, 0.203], [0.550, 0.216, 0.797]]
}

Record 6
{
  "formula": "Ac2La3Tl3",
  "functional": "PBE",
  "formation_energy_uncorrected_ev_per_atom": -2.16,
  "magmom_total_mub_per_cell": 1.09,
  "e_tot_ev_per_atom": -6.271,
  "lattice_angstrom": [[2.718, -4.703, 0.000], [2.718, 4.703, 0.000], [-1.980, 0.000, 6.253]],